Formation and fate of micropollutant transformation products in subsurface water systems
Because of climate change, the Netherlands is currently facing seasonal problems with freshwater provision. Alternative water sources, such as surface water and wastewater treatment plant effluents, are being infiltrated to replenish aquifers and store water. However, micropollutants are widespread in the environment, including groundwater (GW) and surface water. The infiltration of alternative water sources may introduce more micropollutants into aquifer systems, threatening the quality of the drinking water produced. Furthermore, there is increasing concern about the underground formation, through microbial processes, of micropollutant transformation products (TPs), which can be more harmful than the parent compounds.
Unrelated to this article: records of crystals =
=====
1.
In4Sn3O12, optimized geometry, DFT PBE-GGA; total magnetization = 0.0 μB/f.u.; total energy = -5.914 eV/atom
1.0
6.310 0.000 0.000
-1.020 6.256 0.000
-2.056 -2.435 12.212
In Sn O
8 6 24
Direct
0.000 0.000 0.000 In
0.001 0.001 0.503 In
0.088 0.262 0.280 In
0.257 0.554 0.044 In
0.536 0.176 0.648 In
0.707 0.467 0.913 In
0.711 0.471 0.416 In
0.795 0.730 0.693 In
0.084 0.264 0.778 Sn
0.259 0.551 0.545 Sn
0.399 0.867 0.846 Sn
0.400 0.865 0.347 Sn
0.531 0.182 0.147 Sn
0.794 0.730 0.192 Sn
0.080 0.914 0.295 O
0.088 0.937 0.804 O
0.218 0.298 0.642 O
0.223 0.278 0.138 O
0.298 0.551 0.873 O
0.304 0.556 0.381 O
0.340 0.961 0.502 O
0.348 0.958 0.007 O
0.446 0.769 0.686 O
0.465 0.768 0.190 O
0.483 0.180 0.817 O
0.492 0.176 0.311 O
0.564 0.449 0.555 O
0.578 0.441 0.059 O
0.710 0.804 0.889 O
0.715 0.808 0.389 O
0.803 0.042 0.140 O
0.808 0.449 0.253 O
0.826 0.047 0.643 O
0.828 0.444 0.757 O
0.973 0.692 0.063 O
0.984 0.286 0.933 O
0.986 0.683 0.556 O
0.991 0.290 0.438 O

=====

2.
NdCuSi, optimized geometry, DFT PBE-GGA; total magnetization = 0.2 μB/f.u.; total energy = -5.356 eV/atom
1.0
4.126 0.000 0.000
-2.063 3.573 0.000
0.000 0.000 4.136
Nd Cu Si
1 1 1
Direct
0.000 0.000 0.000 Nd
0.333 0.667 0.500 Cu
0.667 0.333 0.500 Si

=====

3.
Ca2Cu9O13, optimized geometry, DFT PBE-GGA; total magnetization = 2.2 μB/f.u.; total energy = -5.251 eV/atom
1.0
4.952 -1.538 0.000
4.952 1.538 0.000
-2.423 0.000 16.218
Ca Cu O
2 9 13
Direct
0.216 0.216 0.229 Ca
0.784 0.784 0.771 Ca
0.004 0.004 0.663 Cu
0.063 0.063 0.880 Cu
0.249 0.249 0.579 Cu
0.353 0.353 0.962 Cu
0.500 0.500 0.500 Cu
0.647 0.647 0.038 Cu
0.751 0.751 0.421 Cu
0.937 0.937 0.120 Cu
0.996 0.996 0.337 Cu
0.000 0.000 0.000 O
0.117 0.117 0.773 O
0.133 0.133 0.471 O
0.299 0.299 0.071 O
0.373 0.373 0.677 O
0.391 0.391 0.388 O
0.422 0.422 0.862 O
0.578 0.578 0.138 O
0.609 0.609 0.612 O
0.627 0.627 0.323 O
0.701 0.701 0.929 O
0.867 0.867 0.529 O
0.883 0.883 0.227 O

=====

4.
NaGa3Te5, optimized geometry, DFT PBE-GGA; total energy = -3.374 eV/atom
1.0
7.476 4.317 6.026
-7.476 4.317 6.026
0.000 -8.633 6.026
Na Ga Te
4 12 20
Direct
0.000 0.000 0.000 Na
0.244 0.500 0.756 Na
0.500 0.756 0.244 Na
0.756 0.244 0.500 Na
0.074 0.378 0.339 Ga
0.157 0.753 0.334 Ga
0.247 0.843 0.666 Ga
0.334 0.157 0.753 Ga
0.339 0.074 0.378 Ga
0.378 0.339 0.074 Ga
0.622 0.926 0.661 Ga
0.661 0.622 0.926 Ga
0.666 0.247 0.843 Ga
0.753 0.334 0.157 Ga
0.843 0.666 0.247 Ga
0.926 0.661 0.622 Ga
0.000 0.423 0.577 Te
0.069 0.750 0.813 Te
0.070 0.570 0.173 Te
0.173 0.070 0.570 Te
0.187 0.250 0.931 Te
0.250 0.931 0.187 Te
0.326 0.674 0.500 Te
0.327 0.327 0.327 Te
0.423 0.577 0.000 Te
0.430 0.930 0.827 Te
0.500 0.326 0.674 Te
0.570 0.173 0.070 Te
0.577 0.000 0.423 Te
0.673 0.673 0.673 Te
0.674 0.500 0.326 Te
0.750 0.813 0.069 Te
0.813 0.069 0.750 Te
0.827 0.430 0.930 Te
0.930 0.827 0.430 Te
0.931 0.187 0.250 Te

=====

5.
ThU3Re8, optimized geometry, DFT PBE-GGA; total magnetization = 2.8 μB/f.u.; total energy = -11.752 eV/atom
1.0
4.395 -2.942 0.000
=====
Technological challenge
During the travel time in the subsurface and once in GW systems, the fate of micropollutants is affected by biotic and abiotic processes. Microorganisms can biodegrade the contaminants changing their structure and forming TPs or, when the conditions are most favourable, they may be able to complete mineralization. A wide range of parameters affects biodegradation and TP formation, including
Materials data, as found in the file:
<<<
A relaxed structure of Ca2FeP2H8O12, computed with PBE with a Hubbard U.

raw total energy: -6.14 eV/atom
total energy after the MP2020 corrections: -6.560 eV/atom
energy of formation from the pure elements: -2.17 eV per atom
spin magnetization: 0.0 μB per formula unit

Cell lengths 8.1665, 10.0273, 12.4994 Å; angles 86.89, 106.56, 98.33 degrees
Atoms (fractional coordinates):
Ca 0.5437 0.1636 0.1699
Ca 0.0436 0.6636 0.1699
Ca 0.7936 0.9136 0.6699
Ca 0.2937 0.4135 0.6698
Ca 0.7063 0.5864 0.3301
Ca 0.2063 0.0864 0.3301
Ca 0.9564 0.3364 0.8301
Ca 0.4564 0.8365 0.8302
Fe 0.4999 0.5001 0.9997
Fe 0.2501 0.7499 0.5002
Fe 0.0000 0.9999 0.9998
Fe 0.7501 0.2500 0.5002
P 0.8530 0.9195 0.2163
P 0.3530 0.4196 0.2162
P 0.1030 0.6695 0.7163
P 0.6030 0.1695 0.7163
P 0.3969 0.8305 0.2838
P 0.8970 0.3305 0.2837
P 0.6471 0.5805 0.7837
P 0.1470 0.0805 0.7837
H 0.6915 0.9871 0.0267
H 0.1915 0.4870 0.0267
H 0.9415 0.7370 0.5267
H 0.4415 0.2371 0.5267
H 0.5585 0.7630 0.4733
H 0.0585 0.2629 0.4733
H 0.8085 0.5130 0.9733
H 0.3086 0.0129 0.9733
H 0.3066 0.9285 0.0892
H 0.8065 0.4285 0.0892
H 0.5566 0.6785 0.5892
H 0.0565 0.1785 0.5892
H 0.9436 0.8214 0.4108
H 0.4434 0.3215 0.4108
H 0.1934 0.5715 0.9108
H 0.6935 0.0715 0.9108
H 0.4376 0.7428 0.0722
H 0.9377 0.2427 0.0722
H 0.6877 0.4928 0.5722
H 0.1876 0.9927 0.5722
H 0.8123 0.0072 0.4278
H 0.3123 0.5072 0.4278
H 0.0623 0.7572 0.9278
H 0.5623 0.2573 0.9278
H 0.6313 0.7424 0.0825
H 0.1314 0.2424 0.0825
H 0.8814 0.4925 0.5825
H 0.3813 0.9924 0.5825
H 0.6186 0.0076 0.4175
H 0.1187 0.5076 0.4176
H 0.8686 0.7575 0.9175
H 0.3687 0.2576 0.9175
O 0.2904 0.0195 0.0499
O 0.7903 0.5195 0.0498
O 0.5404 0.7695 0.5499
O 0.0403 0.2695 0.5499
O 0.9597 0.7305 0.4501
O 0.4597 0.2305 0.4501
O 0.2096 0.4805 0.9501
O 0.7097 0.9805 0.9501
O 0.5151 0.7230 0.0269
O 0.0151 0.2229 0.0268
O 0.7651 0.4729 0.5269
O 0.2651 0.9729 0.5269
O 0.7349 0.0271 0.4731
O 0.2350 0.5270 0.4732
O 0.9849 0.7770 0.9731
O 0.4849 0.2771 0.9731
O 0.6943 0.9879 0.1550
O 0.1942 0.4879 0.1550
O 0.9443 0.7379 0.6550
O 0.4443 0.2379 0.6551
O 0.5557 0.7621 0.3450
O 0.0557 0.2621 0.3450
O 0.8058 0.5121 0.8450
O 0.3057 0.0121 0.8449
O 0.0079 0.9697 0.1659
O 0.5079 0.4699 0.1658
O 0.2581 0.7198 0.6661
O 0.7580 0.2197 0.6659
O 0.2420 0.7802 0.3342
O 0.7420 0.2803 0.3341
O 0.4920 0.5301 0.8339
O 0.9921 0.0303 0.8341
O 0.3268 0.7930 0.1581
O 0.8268 0.2930 0.1580
O 0.5769 0.5430 0.6580
O 0.0768 0.0430 0.6580
O 0.9232 0.9570 0.3420
O 0.4231 0.4570 0.3420
O 0.1732 0.7070 0.8420
O 0.6732 0.2070 0.8420
O 0.4392 0.9868 0.2992
O 0.9393 0.4869 0.2992
O 0.6892 0.7368 0.7991
O 0.1892 0.2368 0.7992
O 0.8107 0.7631 0.2008
O 0.3108 0.2632 0.2008
O 0.0608 0.5132 0.7008
O 0.5608 0.0132 0.7008


The following is a DFT calculation (PBE+U) of an optimized crystal structure of YMgCoW2O8.

abc: 5.360 6.038 6.250
angles: 107.43 92.20 116.00
Fractional coordinates of all 13 atoms:
Y1 0.000 0.000 0.000
Mg1 0.713 0.391 0.864
Co1 0.362 0.867 0.351
W1 0.231 0.449 0.642
W2 0.724 0.467 0.361
>>>
redox conditions, dissolved organic carbon (DOC) availability and contaminant
concentration. The presence of micropollutants and TPs in drinking water sources is most unwanted. TPs can, indeed, be more recalcitrant and mobile than the parent compounds, but the majority of those present in GW are still unknown. Even though GW systems have anaerobic and oligotrophic conditions that do not promote biodegradation, by studying the conditions that lead to different TPs formation, the process of mineralization can be stimulated. The composition of the microbial population plays an important role in biodegradation and, by studying it in correlation to the environmental conditions, we can better understand the metabolic pathways of micropollutants.
# What comes next are records of crystals, not part of the entry
+++
Entry 1:
Density functional theory data (GGA+U) for a relaxed Ni2P4C11S2O3F24 crystal.

Output
space-group type: No. 60
spin magnetization: 0.0000 μB per atom

Unit cell a=10.592 b=14.415 c=19.008 alpha=90.00 beta=90.00 gamma=90.00
Atoms (fractional coordinates):
Ni1 0.008 0.202 0.182
Ni2 0.008 0.798 0.682
Ni3 0.492 0.298 0.682
Ni4 0.492 0.702 0.182
Ni5 0.508 0.298 0.818
Ni6 0.508 0.702 0.318
Ni7 0.992 0.202 0.318
Ni8 0.992 0.798 0.818
P1 0.139 0.098 0.337
P2 0.139 0.902 0.837
P3 0.201 0.148 0.180
P4 0.201 0.852 0.680
P5 0.299 0.352 0.680
P6 0.299 0.648 0.180
P7 0.361 0.402 0.837
P8 0.361 0.598 0.337
P9 0.639 0.402 0.663
P10 0.639 0.598 0.163
P11 0.701 0.352 0.820
P12 0.701 0.648 0.320
P13 0.799 0.148 0.320
P14 0.799 0.852 0.820
P15 0.861 0.098 0.163
P16 0.861 0.902 0.663
C1 0.000 0.301 0.250
C2 0.000 0.699 0.750
C3 0.002 0.277 0.393
C4 0.002 0.723 0.893
C5 0.107 0.027 0.867
C6 0.107 0.973 0.367
C7 0.177 0.254 0.676
C8 0.177 0.746 0.176
C9 0.235 0.422 0.602
C10 0.235 0.578 0.102
C11 0.250 0.130 0.413
C12 0.250 0.370 0.913
C13 0.250 0.630 0.413
C14 0.250 0.870 0.913
C15 0.265 0.078 0.102
C16 0.265 0.922 0.602
C17 0.323 0.246 0.176
C18 0.323 0.754 0.676
C19 0.393 0.473 0.367
C20 0.393 0.527 0.867
C21 0.498 0.223 0.893
C22 0.498 0.777 0.393
C23 0.500 0.199 0.750
C24 0.500 0.801 0.250
C25 0.502 0.223 0.607
C26 0.502 0.777 0.107
C27 0.607 0.473 0.133
C28 0.607 0.527 0.633
C29 0.677 0.246 0.324
C30 0.677 0.754 0.824
C31 0.735 0.078 0.398
C32 0.735 0.922 0.898
C33 0.750 0.130 0.087
C34 0.750 0.370 0.587
C35 0.750 0.630 0.087
C36 0.750 0.870 0.587
C37 0.765 0.422 0.898
C38 0.765 0.578 0.398
C39 0.823 0.254 0.824
C40 0.823 0.746 0.324
C41 0.893 0.027 0.633
C42 0.893 0.973 0.133
C43 0.998 0.277 0.107
C44 0.998 0.723 0.607
S1 0.220 0.434 0.761
S2 0.220 0.566 0.261
S3 0.280 0.066 0.261
S4 0.280 0.934 0.761
S5 0.720 0.066 0.239
S6 0.720 0.934 0.739
S7 0.780 0.434 0.739
S8 0.780 0.566 0.239
O1 0.000 0.383 0.250
O2 0.000 0.617 0.750
O3 0.005 0.326 0.441
O4 0.005 0.674 0.941
O5 0.495 0.174 0.941
O6 0.495 0.826 0.441
O7 0.500 0.117 0.750
O8 0.500 0.883 0.250
O9 0.505 0.174 0.559
O10 0.505 0.826 0.059
O11 0.995 0.326 0.059
O12 0.995 0.674 0.559
F1 0.023 0.067 0.823
F2 0.023 0.933 0.323
F3 0.055 0.282 0.676
F4 0.055 0.718 0.176
F5 0.056 0.026 0.933
F6 0.056 0.974 0.433
F7 0.110 0.443 0.606
F8 0.110 0.557 0.106
F9 0.156 0.432 0.926
F10 0.156 0.568 0.426
F11 0.182 0.140 0.473
F12 0.182 0.860 0.973
F13 0.193 0.198 0.733
F14 0.193 0.802 0.233
F15 0.196 0.202 0.617
F16 0.196 0.287 0.898
F17 0.196 0.713 0.398
F18 0.196 0.798 0.117
F19 0.201 0.004 0.597
F20 0.201 0.996 0.097
F21 0.212 0.081 0.869
F22 0.212 0.919 0.369
F23 0.246 0.127 0.042
F24 0.246 0.873 0.542
F25 0.254 0.373 0.542
F26 0.254 0.627 0.042
F27 0.288 0.419 0.369
F28 0.288 0.581 0.869
F29 0.299 0.496 0.097
F30 0.299 0.504 0.597
F31 0.304 0.213 0.398
F32 0.304 0.298 0.117
F33 0.304 0.702 0.617
F34 0.304 0.787 0.898
F35 0.307 0.302 0.233
F36 0.307 0.698 0.733
F37 0.318 0.360 0.973
F38 0.318 0.640 0.473
+++
# Here the entry continues
In the present research, laboratory experiments and field investigation are closely interconnected to study TPs’ fate in subsurface water systems from a fundamental and applied perspective. In the lab, the influence of redox conditions and microbial diversity on TPs formation is assessed through batch experiments and DNA analyses. Sampling and data treatment of Dutch reuse water systems are performed to identify currently unknown TPs and their fate under real conditions, where subsurface or artificial infiltration is applied. Data analysis is done through state-of-the-art software for TPs identification. The study provides insights for the safer production, storage and reuse of freshwater.